**Input:**
+++
Record 1
Diffraction record for PmDy3Y12. The PXRD pattern is theoretical, not measured: it uses a DFT-relaxed cell (GGA-PBE, Alexandria) and CuKα.
Lines closer than 0.1° are merged.

Principal peaks in the range 2θ = 10–80°, low angle first:
| 2θ/deg | intensity |
| --- | --- |
| 17.6 | 6 |
| 24.9 | 6 |
| 30.7 | 100 |
| 35.5 | 50 |
| 39.9 | 4 |
| 43.9 | 3 |
| 51.2 | 35 |
| 60.8 | 41 |
| 63.8 | 12 |
| 75.3 | 5 |

a b c (Å): 5.051 5.051 20.206
angles (deg): 90.00 90.00 90.00
Sites, in units of the cell vectors:
Pm 0.000 0.000 0.000
Dy 0.000 0.000 0.251
Dy 0.000 0.000 0.500
Dy 0.000 0.000 0.749
Y 0.000 0.500 0.126
Y 0.000 0.500 0.375
Y 0.000 0.500 0.625
Y 0.000 0.500 0.874
Y 0.500 0.000 0.126
Y 0.500 0.000 0.375
Y 0.500 0.000 0.625
Y 0.500 0.000 0.874
Y 0.500 0.500 0.000
Y 0.500 0.500 0.251
Y 0.500 0.500 0.500
Y 0.500 0.500 0.749



Record 2
Diffraction record for Pm5DyY3. The PXRD pattern is theoretical, not measured: it uses a DFT-relaxed cell (GGA-PBE, Alexandria) and CuKα.
Lines closer than 0.1° are merged.

Principal peaks in the range 2θ = 10–80°, low angle first:
| 2θ/deg | intensity |
| --- | --- |
| 20.1 | 17 |
| 28.8 | 13 |
| 30.7 | 100 |
| 30.9 | 46 |
| 31.0 | 74 |
| 31.9 | 16 |
| 32.8 | 25 |
| 33.0 | 20 |
| 35.2 | 26 |
| 54.8 | 25 |

a b c (Å): 8.887 8.887 11.650
angles (deg): 108.67 108.67 44.87
Sites, in units of the cell vectors:
Pm 0.107 0.113 0.549
Pm 0.113 0.107 0.049
Pm 0.185 0.815 0.750
Pm 0.238 0.419 0.652
Pm 0.419 0.238 0.152
Pm 0.581 0.762 0.848
Pm 0.762 0.581 0.348
Pm 0.815 0.185 0.250
Pm 0.887 0.893 0.951
Pm 0.893 0.887 0.451
Dy 0.262 0.738 0.250
Dy 0.738 0.262 0.750
Y 0.141 0.338 0.870
Y 0.338 0.141 0.370
Y 0.500 0.500 0.000
Y 0.500 0.500 0.500
Y 0.662 0.859 0.630
Y 0.859 0.662 0.130



Record 3
Diffraction record for Pm19Dy4Y6. The PXRD pattern is theoretical, not measured: it uses a DFT-relaxed cell (GGA-PBE, Alexandria) and CuKα.
Lines closer than 0.1° are merged.

Principal peaks in the range 2θ = 10–80°, low angle first:
| 2θ/deg | intensity |
| --- | --- |
| 26.4 | 33 |
| 28.2 | 50 |
| 30.0 | 100 |
| 33.2 | 19 |
| 34.8 | 32 |
| 36.2 | 53 |
| 51.1 | 17 |
| 53.2 | 24 |
| 59.4 | 22 |
| 60.4 | 18 |

a b c (Å): 10.951 10.951 10.951
angles (deg): 109.47 109.47 109.47
Sites, in units of the cell vectors:
Pm 0.000 0.000 0.000
Pm 0.000 0.257 0.257
Pm 0.000 0.743 0.743
Pm 0.023 0.804 0.344
Pm 0.196 0.219 0.540
Pm 0.219 0.540 0.196
Pm 0.257 0.000 0.257
Pm 0.257 0.257 0.000
Pm 0.320 0.781 0.977
Pm 0.344 0.023 0.804
Pm 0.460 0.680 0.656
Pm 0.540 0.196 0.219
Pm 0.656 0.460 0.680
Pm 0.680 0.656 0.460
Pm 0.743 0.000 0.743
Pm 0.743 0.743 0.000
Pm 0.781 0.977 0.320
Pm 0.804 0.344 0.023
Pm 0.977 0.320 0.781
Dy 0.000 0.000 0.638
Dy 0.000 0.638 0.000
Dy 0.362 0.362 0.362
Dy 0.638 0.000 0.000
Y 0.126 0.626 0.500
Y 0.374 0.500 0.874
Y 0.500 0.126 0.626
Y 0.500 0.874 0.374
Y 0.626 0.500 0.126
Y 0.874 0.374 0.500


No. 1
# CaHo2Hg7
Simulated X-ray powder pattern, Cu Kα. Input: a cell relaxed with GGA-PBE.

Principal peaks in the range 2θ from 10° to 80°, by angle:
Position (°2θ)  I/Imax
30.27  53
35.73  100
36.25  63
51.82  23
64.19  19
64.53  24

```
data_CaHo2Hg7
_space_group_name_H-M_alt 'P 3 m 1'
_space_group_IT_number 156
_cell_length_a 5.0260
_cell_length_b 5.0260
_cell_length_c 12.0564
_cell_angle_alpha 90.00
_cell_angle_beta 90.00
_cell_angle_gamma 120.00
loop_
_space_group_symop_operation_xyz
'x,y,z'
'-y,x-y,z'
'-x+y,-x,z'
'-y,-x,z'
'-x+y,y,z'
'x,x-y,z'
loop_
_atom_site_label
_atom_site_type_symbol
_atom_site_fract_x
_atom_site_fract_y
_atom_site_fract_z
Ca1 Ca 0.0000 0.0000 0.0000
Ho1 Ho 0.3333 0.6667 0.6530
Ho2 Ho 0.6667 0.3333 0.4534
Hg1 Hg 0.0000 0.0000 0.2988
Hg2 Hg 0.0000 0.0000 0.5699
Hg3 Hg 0.3333 0.6667 0.1354
Hg4 Hg 0.3333 0.6667 0.3899
Hg5 Hg 0.3333 0.6667 0.8929
Hg6 Hg 0.6667 0.3333 0.1672
Hg7 Hg 0.6667 0.3333 0.7784
```


No. 2
# Cu4Pd
Simulated X-ray powder pattern, Cu Kα. Input: a cell relaxed with GGA-PBE.

Principal peaks in the range 2θ from 10° to 80°, by angle:
Position (°2θ)  I/Imax
+++

**Activity:**
Quote the listing earlier on from the first line to the one with "data_CaHo2Hg7" character by character.

**Result:**
Record 1
Diffraction record for PmDy3Y12. The PXRD pattern is theoretical, not measured: it uses a DFT-relaxed cell (GGA-PBE, Alexandria) and CuKα.
Lines closer than 0.1° are merged.

Principal peaks in the range 2θ = 10–80°, low angle first:
| 2θ/deg | intensity |
| --- | --- |
| 17.6 | 6 |
| 24.9 | 6 |
| 30.7 | 100 |
| 35.5 | 50 |
| 39.9 | 4 |
| 43.9 | 3 |
| 51.2 | 35 |
| 60.8 | 41 |
| 63.8 | 12 |
| 75.3 | 5 |

a b c (Å): 5.051 5.051 20.206
angles (deg): 90.00 90.00 90.00
Sites, in units of the cell vectors:
Pm 0.000 0.000 0.000
Dy 0.000 0.000 0.251
Dy 0.000 0.000 0.500
Dy 0.000 0.000 0.749
Y 0.000 0.500 0.126
Y 0.000 0.500 0.375
Y 0.000 0.500 0.625
Y 0.000 0.500 0.874
Y 0.500 0.000 0.126
Y 0.500 0.000 0.375
Y 0.500 0.000 0.625
Y 0.500 0.000 0.874
Y 0.500 0.500 0.000
Y 0.500 0.500 0.251
Y 0.500 0.500 0.500
Y 0.500 0.500 0.749



Record 2
Diffraction record for Pm5DyY3. The PXRD pattern is theoretical, not measured: it uses a DFT-relaxed cell (GGA-PBE, Alexandria) and CuKα.
Lines closer than 0.1° are merged.

Principal peaks in the range 2θ = 10–80°, low angle first:
| 2θ/deg | intensity |
| --- | --- |
| 20.1 | 17 |
| 28.8 | 13 |
| 30.7 | 100 |
| 30.9 | 46 |
| 31.0 | 74 |
| 31.9 | 16 |
| 32.8 | 25 |
| 33.0 | 20 |
| 35.2 | 26 |
| 54.8 | 25 |

a b c (Å): 8.887 8.887 11.650
angles (deg): 108.67 108.67 44.87
Sites, in units of the cell vectors:
Pm 0.107 0.113 0.549
Pm 0.113 0.107 0.049
Pm 0.185 0.815 0.750
Pm 0.238 0.419 0.652
Pm 0.419 0.238 0.152
Pm 0.581 0.762 0.848
Pm 0.762 0.581 0.348
Pm 0.815 0.185 0.250
Pm 0.887 0.893 0.951
Pm 0.893 0.887 0.451
Dy 0.262 0.738 0.250
Dy 0.738 0.262 0.750
Y 0.141 0.338 0.870
Y 0.338 0.141 0.370
Y 0.500 0.500 0.000
Y 0.500 0.500 0.500
Y 0.662 0.859 0.630
Y 0.859 0.662 0.130



Record 3
Diffraction record for Pm19Dy4Y6. The PXRD pattern is theoretical, not measured: it uses a DFT-relaxed cell (GGA-PBE, Alexandria) and CuKα.
Lines closer than 0.1° are merged.

Principal peaks in the range 2θ = 10–80°, low angle first:
| 2θ/deg | intensity |
| --- | --- |
| 26.4 | 33 |
| 28.2 | 50 |
| 30.0 | 100 |
| 33.2 | 19 |
| 34.8 | 32 |
| 36.2 | 53 |
| 51.1 | 17 |
| 53.2 | 24 |
| 59.4 | 22 |
| 60.4 | 18 |

a b c (Å): 10.951 10.951 10.951
angles (deg): 109.47 109.47 109.47
Sites, in units of the cell vectors:
Pm 0.000 0.000 0.000
Pm 0.000 0.257 0.257
Pm 0.000 0.743 0.743
Pm 0.023 0.804 0.344
Pm 0.196 0.219 0.540
Pm 0.219 0.540 0.196
Pm 0.257 0.000 0.257
Pm 0.257 0.257 0.000
Pm 0.320 0.781 0.977
Pm 0.344 0.023 0.804
Pm 0.460 0.680 0.656
Pm 0.540 0.196 0.219
Pm 0.656 0.460 0.680
Pm 0.680 0.656 0.460
Pm 0.743 0.000 0.743
Pm 0.743 0.743 0.000
Pm 0.781 0.977 0.320
Pm 0.804 0.344 0.023
Pm 0.977 0.320 0.781
Dy 0.000 0.000 0.638
Dy 0.000 0.638 0.000
Dy 0.362 0.362 0.362
Dy 0.638 0.000 0.000
Y 0.126 0.626 0.500
Y 0.374 0.500 0.874
Y 0.500 0.126 0.626
Y 0.500 0.874 0.374
Y 0.626 0.500 0.126
Y 0.874 0.374 0.500


No. 1
# CaHo2Hg7
Simulated X-ray powder pattern, Cu Kα. Input: a cell relaxed with GGA-PBE.

Principal peaks in the range 2θ from 10° to 80°, by angle:
Position (°2θ)  I/Imax
30.27  53
35.73  100
36.25  63
51.82  23
64.19  19
64.53  24

```
data_CaHo2Hg7